The key hypotheses underlying ASB research in Indonesia has been intensifying land use as an alternative to slash and burn can simultaneously reduce deforestation and reduce poverty. The intensification hypothesis hinges on the existence of opportunities to raise the productivity of smallholder systems at the forest margins without degrading forest function. Estimates of returns to land and labor presented in this chapter indicate that from a purely private perspective, returns to forest conversion are high in Sumatra's peneplains. Because all derived land uses are inferior to natural forest, based on global environmental concerns, ASB research in Indonesia has shown that land use changes involve tradeoffs between these environmental concerns and the objectives of poverty alleviation and national development. If there is no action on these tradeoffs, by identifying workable options either to change incentives for conversion or to restrict access to the remaining natural forests, thus rain forests will continue to disappear. This research also provides evidence that land-use alternatives differ significantly in their ability to substitute for the global environmental services provided by natural forests. So, although forest conversion has the largest negative effect on these environmental services, the alternative land uses matter too. Carbon stocks are similar for long rotation tree-based systems, which are superior to all other land uses by this criterion except for natural forest themselves. Similarly, alternative land uses also differ significantly in their potential for biodiversity conservation, ranging between the extremes of smallholder 'complex, multistrata agroforestry systems and large-scale plantation monoculture. While there may be a tradeoff between potential profitability and biodiversity in tree-based production systems, this requires further verification. There may be little or no tradeoff between policy makers' objectives and those of smallholder households appears to be comparable to that of large-scale estates, however, this also requires further verification. There are also important institutional questions that must be addressed to enable widespread adoption of profitable alternatives by smallholders. To obtain estimates of regional or global impacts directly from measures, it is necessary to assume independence and hence addivity across space. This assumption is reasonable for some measure, but it is only a rough approximation for others. Among these measures biodiversity is the most sensitive to scaling issues. While the agronomic sustainability measure used here concerns only on-site, field level effects, the extent and spatial arrangement of land-use alternatives also produce environmental externalities. One of the key challenges of future research is to be able to asses these phenomena at the landscape level. Ultimately, instead of single land-use system or technology, the most attractive way to achieve the multiple objectives is likely to come from combinations of complementary land-use practices within a varied landscape.
Inserted here: quantum chemistry results:
~~~
(1)
DFT (ωB97M-V with the def2-TZVPD basis set) results for a molecular structure, C24H24BrClN3O4S2Zn.

```
60
Properties=species:S:1:pos:R:3:forces:R:3:mulliken_charge:R:1
Zn 1.8779 1.5410 1.2506 -0.2 -0.2 -0.6 0.75
C 2.0607 6.9565 0.7229 0.0 -0.1 0.0 -1.39
C 2.8659 5.6872 0.7331 -0.1 0.1 0.0 0.43
C 4.2509 5.6747 0.8217 0.1 0.0 0.0 -0.41
C 4.9471 4.4764 0.8637 0.1 0.0 0.0 -0.59
C 4.2182 3.3094 0.8231 -0.1 0.0 0.0 0.25
Br 5.0735 1.6320 0.8790 0.0 0.0 0.0 -0.12
N 2.8892 3.2894 0.7425 0.1 -0.1 0.1 -0.27
C 2.2357 4.4549 0.6957 -0.1 0.0 0.0 -0.04
H 2.7075 7.8304 0.6894 0.0 0.0 0.0 0.37
H 1.4503 7.0204 1.6249 0.0 0.0 0.0 0.32
H 1.3896 6.9922 -0.1352 0.0 0.0 0.0 0.34
H 4.7952 6.6105 0.8665 0.0 0.0 0.0 0.39
H 6.0240 4.4459 0.9347 0.0 0.0 0.0 0.43
H 1.1540 4.3927 0.6515 0.0 0.0 0.0 0.55
S 0.1799 1.8506 -0.5338 0.0 0.0 0.0 -0.63
C -0.1731 0.2520 -0.8655 0.0 0.1 0.1 0.50
N -1.3362 -0.1475 -1.3406 0.0 -0.1 0.0 0.16
C -1.5231 -1.5323 -1.7891 0.0 0.0 0.0 -0.62
C -0.2473 -1.9852 -2.4382 0.0 0.0 0.0 -0.91
N 0.8312 -1.8681 -1.4511 0.0 0.0 -0.1 0.11
C 1.7780 -2.9993 -1.4052 0.0 -0.1 0.0 -1.50
C 1.0877 -4.2504 -0.9198 0.0 0.0 0.0 0.81
C 0.9324 -5.3428 -1.7631 0.0 0.0 0.0 -0.27
C 0.2811 -6.4856 -1.3149 0.0 0.0 0.0 -0.60
C -0.2230 -6.5344 -0.0245 0.0 0.0 0.0 -0.44
C -0.0707 -5.4428 0.8229 0.0 0.0 0.0 -0.77
C 0.5845 -4.3055 0.3787 0.0 0.0 0.0 -0.18
C 0.8721 -0.8356 -0.6384 0.0 -0.1 0.1 0.75
S 1.9765 -0.7491 0.6300 0.1 0.2 0.1 -0.29
C -2.5231 0.7186 -1.4388 -0.1 0.0 0.0 -1.26
C -3.6772 0.0973 -0.6926 0.0 0.0 0.0 0.53
C -4.8416 -0.2607 -1.3580 0.0 0.0 0.0 -0.37
C -5.9023 -0.8217 -0.6575 0.0 0.0 0.0 -0.65
C -5.7953 -1.0321 0.7086 0.0 0.0 0.0 -0.41
C -4.6296 -0.6774 1.3781 0.0 0.0 0.0 -0.73
C -3.5747 -0.1124 0.6804 0.0 0.0 0.0 -0.16
H -2.3474 -1.5499 -2.4986 0.0 0.0 0.0 0.56
H -1.7871 -2.1759 -0.9472 0.0 0.0 0.0 0.31
H -0.0131 -1.3782 -3.3160 0.0 0.0 0.0 0.33
H -0.3198 -3.0280 -2.7363 0.0 0.0 0.0 0.48
H 2.6054 -2.7256 -0.7590 0.0 0.0 0.0 0.52
H 2.1583 -3.1389 -2.4180 0.0 0.0 0.0 0.41
H 1.3311 -5.3102 -2.7716 0.0 0.0 0.0 0.39
H 0.1703 -7.3358 -1.9750 0.0 0.0 0.0 0.39
H -0.7288 -7.4244 0.3257 0.0 0.0 0.0 0.40
H -0.4540 -5.4828 1.8342 0.0 0.0 0.0 0.42
H 0.7164 -3.4604 1.0465 0.0 0.0 0.0 0.37
H -2.7667 0.8425 -2.4955 0.0 0.0 0.0 0.41
H -2.2687 1.6930 -1.0322 0.1 0.0 0.0 0.46
H -4.9278 -0.0935 -2.4264 0.0 0.0 0.0 0.39
H -6.8101 -1.0923 -1.1802 0.0 0.0 0.0 0.39
H -6.6217 -1.4668 1.2552 0.0 0.0 0.0 0.39
H -4.5480 -0.8316 2.4460 0.0 0.0 0.0 0.42
H -2.6709 0.1789 1.2075 0.0 0.0 0.0 0.53
O 1.1400 2.0097 5.0309 0.0 -0.1 -0.2 -0.61
Cl 1.4603 2.4123 3.7186 0.1 0.3 0.2 1.82
O 1.6107 3.8243 3.5890 0.0 -0.2 0.1 -0.57
O 0.4335 1.9445 2.7418 0.1 0.1 0.0 -0.68
O 2.6922 1.7399 3.2292 -0.1 0.0 0.1 -0.64
```
Positions in Å, forces in eV/Å.

Output
E_tot = -7003.7135 a.u.
LUMO energy = -4.1 eV
net charge = +1
gap between HOMO and LUMO = 7.871 eV


(2)
DFT (ωB97M-V with the def2-TZVPD basis set) results for a molecular structure, C17H23IrN2.

```
43
~~~
The quantum chemistry results stop here:
Tahun publikasi
Record 1
2 unconnected molecules or ions with the total composition C2H8Cl2OSi2 in a non-equilibrium geometry, computed with wB97M-V/def2-TZVPD.

Computed properties:
highest occupied orbital energy	-7.88	eV
net charge	0
calculated total energy	-45051.9278	eV
Kohn-Sham gap	5.8	eV

The geometry in XYZ format:
```
15
C2H8Cl2OSi2 wB97M-V/def2-TZVPD
C -2.46 0.68 0.02
C 1.34 -1.26 -1.19
O 0.20 1.51 0.80
Si -0.99 0.65 1.26
Si 2.65 -0.23 -0.33
Cl 3.02 -0.46 1.59
Cl 3.58 1.22 -1.28
H -3.35 0.22 0.44
H -2.69 1.71 -0.24
H -2.20 0.15 -0.89
H 0.86 -1.93 -0.48
H 0.55 -0.60 -1.57
H 1.73 -1.84 -2.03
H -1.59 1.00 2.56
H -0.65 -0.81 1.34
```


Record 2
A molecular structure, CH9N2P2 in a non-equilibrium geometry, computed with wB97M-V/def2-TZVPD.

Computed properties:
highest occupied orbital energy	-13.31	eV
net charge	+1
calculated total energy	-22731.3996	eV
Kohn-Sham gap	9.7	eV

The geometry in XYZ format:
```
14
CH9N2P2 wB97M-V/def2-TZVPD
C 0.81 1.00 -0.12
N -0.66 -0.22 0.14
N 2.04 0.54 0.12
P -2.35 0.49 0.30
P -0.49 -1.79 -0.03
H 0.42 1.67 0.60
H 0.48 1.28 -1.06
H 2.44 0.63 1.03
H 2.54 0.21 -0.68
H 0.88 -1.71 -0.12
H -1.57 1.61 0.95
H -2.62 1.10 -0.91
H -0.90 -2.33 -1.15
H -1.01 -2.48 0.95
```


Record 3
A molecular structure, C14H16Co2N3O6 in a non-equilibrium geometry, computed with wB97M-V/def2-TZVPD.

Computed properties:
highest occupied orbital energy	-1.54	eV
net charge	-1
calculated total energy	-106781.1006	eV
Kohn-Sham gap	3.3	eV

The geometry in XYZ format:
```
41
C14H16Co2N3O6 wB97M-V/def2-TZVPD
C 1.11 -1.70 1.98
N 0.96 -0.23 2.01
C 2.21 0.56 1.86
C -0.22 0.30 1.63
N -0.26 1.49 0.95
N -1.34 -0.34 2.08
C -1.38 -1.00 3.36
C -2.62 0.03 1.55
H 1.18 -2.05 0.94
H 2.01 -2.02 2.52
H 0.20 -2.16 2.40
H 1.95 1.61 1.66
H 2.79 0.52 2.81
H 2.83 0.15 1.05
H -1.23 1.85 1.05
H -0.41 -0.87 3.84
H -2.15 -0.53 3.97
H -1.63 -2.06 3.25
H -2.61 0.02 0.45
H -3.34 -0.72 1.86
H -2.97 1.03 1.93
O -0.51 3.53 -5.95
C 0.11 3.95 -5.09
Co 1.08 4.67 -3.77
C 2.73 4.78 -4.41
O 3.80 4.88 -4.85
C 0.46 6.32 -3.79
O -0.08 7.35 -3.74
C 0.29 4.09 -1.94
C 0.62 3.16 -1.00
C 0.33 1.80 -0.53
Co 2.06 4.22 -1.40
C 3.26 3.24 -2.21
O 4.12 2.54 -2.60
C 2.49 4.15 0.23
O 2.77 4.09 1.36
C 2.65 5.94 -1.66
O 3.17 6.97 -1.60
H -0.59 4.78 -1.81
H 1.20 1.15 -0.71
H -0.49 1.33 -1.14
```


Record 4
A single C2H3N5O molecule in a non-equilibrium geometry, computed with wB97M-V/def2-TZVPD.

Computed properties:
SMILES string	[H]/N=c1/nn/c(=N\[H])o[nH]1
highest occupied orbital energy	-10.36	eV
net charge	0
calculated total energy	-11613.6883	eV
Kohn-Sham gap	8.8	eV

The geometry in XYZ format:
```
11
C2H3N5O wB97M-V/def2-TZVPD
C -1.31 0.23 0.07
C 1.45 0.11 0.30
H -2.61 -0.84 -0.16
H 2.95 0.91 -0.32
H -0.89 -1.92 -0.53
N -2.55 0.24 0.16
N -0.53 1.57 0.01
N 0.77 1.45 0.28
N 2.68 -0.10 -0.26
N -0.52 -0.80 -0.33
O 0.56 -0.86 0.78
```


Record 5
A single C16H26N6O5S molecule, computed with wB97M-V/def2-TZVPD.

Computed properties:
SMILES string	CS[C@]1(C(=O)NCCOCCN(C)C(=O)Cn2cnc(C(N)=O)n2)C[C@H](O)C1
## The molecular data stop here
Tomich, T.P.; van Noordwjik, M.; Budidarsono, S.; Gillison, A.N.; Kusumanto, T.; Murdiyarso, D.; Stolle, F.; Fagi, A.M.
Kata kunci
**Calculated molecules that have nothing to do with the text**
1.
# C7H10

A gas-phase ion, C7H10 (charge +1) (ωB97M-V/def2-TZVPD, OMol25).

Cartesian coordinates (Å):
C (1.1374, 1.6038, -0.5458)
C (0.8665, 0.1516, -0.4862)
C (1.7913, -0.7953, -0.8531)
C (-1.0176, -1.4012, -0.7268)
C (-0.4397, -0.3676, -0.0512)
C (-0.8383, 0.1365, 1.2860)
C (-2.0930, 0.0915, 1.7322)
H (2.0969, 1.8713, -0.0881)
H (0.3991, 2.3054, -0.1578)
H (1.2421, 1.8313, -1.6092)
H (1.5895, -1.6172, -1.5268)
H (2.8340, -0.6778, -0.5758)
H (-1.8009, -2.1256, -0.5661)
H (-0.5003, -1.6596, -1.6532)
H (-0.0643, 0.6179, 1.8708)
H (-2.3100, 0.4690, 2.7241)
H (-2.8929, -0.4340, 1.2269)

Force components x, y, z for each atom (eV/Å):
0.820 0.569 0.676
-1.395 0.091 -0.531
0.569 0.276 -0.342
1.284 -0.712 -1.478
0.416 -0.223 1.158
-0.586 0.251 -0.814
0.347 -0.483 0.554
0.022 -0.108 -0.139
-0.286 -0.548 0.168
0.067 -0.023 -0.117
-0.394 -0.484 0.578
0.082 0.272 -0.250
-0.568 0.684 0.824
-0.225 0.073 0.059
-0.033 0.059 -0.012
-0.104 0.067 -0.094
-0.015 0.239 -0.241

## Properties
M, g mol⁻¹: 94.157
Orbital gap (alpha / beta), Eh: 0.327 / 0.233
Energy above the lowest of the compared OMol25 structures with the same formula, charge and spin, kJ/mol: 134.5
Calculated total energy, Ha: -272.316372
LUMO (alpha / beta), eV: -5.2 / -7.5
Max |F|, eV Å⁻¹: 2.08
Net charge: +1
Multiplicity: 2
HOMO (alpha / beta), eV: -14.049 / -13.811



2.
# C3H5ClN4O4

C3H5ClN4O4 in the gas phase (ωB97M-V/def2-TZVPD, OMol25).

Cartesian coordinates (Å):
C (0.1148, 1.0134, -0.3817)
C (-1.2377, 1.0646, -0.2893)
C (1.8719, 2.2262, 0.4136)
N (-1.9938, -0.1227, -0.4098)
N (-0.0314, -1.3805, -0.5216)
N (0.8005, -0.2060, -0.2807)
N (-1.2596, -1.3771, 0.0892)
O (2.3562, 1.4689, 1.1834)
O (1.9209, -0.4605, -1.1352)
O (-1.2881, -1.4356, 1.4552)
O (0.9287, 2.0951, -0.4490)
Cl (-2.0060, 2.5651, -0.2849)
H (2.5132, 3.1312, 0.0019)
H (-2.9062, -0.0896, -0.0960)
H (-0.0504, -1.5513, -1.4560)
H (2.6845, -0.3250, -0.6136)
H (-1.0172, -0.5642, 1.8203)

Force components x, y, z for each atom (eV/Å):
7.115 -2.652 -1.700
-6.393 -0.612 1.502
5.229 3.430 -1.234
4.130 -0.361 -0.568
1.174 0.906 5.096
-1.333 -0.406 -0.273
-1.853 1.584 -2.336
-0.491 -1.278 1.434
-1.860 0.485 -1.257
0.638 0.526 0.577
-3.297 -0.129 -0.894
-0.392 0.180 -0.187
-1.275 -0.925 1.171
-2.218 -0.005 0.803
-0.641 -0.623 -3.321
1.318 0.239 1.401
0.148 -0.360 -0.214

## Properties
M, g mol⁻¹: 196.550
Orbital gap (alpha / beta), Eh: 0.206 / 0.298
Calculated total energy, Ha: -1097.114347
LUMO (alpha / beta), eV: 0.6 / -1.8
Max |F|, eV Å⁻¹: 7.78
Net charge: 0
Multiplicity: 3
HOMO (alpha / beta), eV: -5.012 / -9.894



3.
# C24H22BrMnN6O2S

A molecular structure, C24H22BrMnN6O2S (ωB97M-V/def2-TZVPD, OMol25).

Cartesian coordinates (Å):
Mn (0.9555, -1.9616, 0.8962)
N (-3.3350, -0.4415, 0.0846)
C (-3.7487, 0.8771, -0.0840)
C (-4.9715, 1.2997, 0.4283)
C (-5.3965, 2.6020, 0.2261)
C (-4.5963, 3.5056, -0.4640)
C (-3.3728, 3.1031, -0.9719)
C (-2.9528, 1.7937, -0.7930)
S (-1.4035, 1.2700, -1.4773)
N (-1.2998, -0.3070, -1.0866)
agriculture, agroforestry, deforestation, institutions, land use, nature conservation, policy, shifting cultivation, socioeconomics, rain forests, poverty, intensification